Thursday, February 27, 2014

TPC: Probability in the Pool, February 28, 2014

When my mom sufferend a catastrophic stroke, I returned to my home town and found a pool in which to swim.  I swam mostly alone in a pool that was 50 meters by 25 meters.  Sometimes the lane lines were set to allow swimmers to swim "short course" (25 meters) or "long course" (50 meters).

On one of the short course days, I was alone in the pool.  There were 16 empty lanes.  I chose lane 8, one of the middle lanes.  I swam down-and-back (50 meters) in about 45 seconds.  This became a deliciously long swim as I moved back and forth alone in this pool with my own personal lifeguard.  Then, suddenly, I was jerked out of my fraction-calculating delirium (refer to previous post about Fractions in the Fast Lane) when waves overtook me.  A man dropped himself and his large belly covered in fur into the lane next to mine at precisely the moment I was at his end of the pool.

Ah, I thought.  A probability problem.   What is the probability that he would (a) choose the lane next to mine and at the same time (b) choose to enter the water during the roughly 7 seconds that I am vulnerable to the tsunami he created at the near end of the pool.  And is this probability small enough that I should think this individual inconsiderate?

On one of the long course days, I was again alone in the pool, now well spoiled and feeling like the Queen of  Sheba in her own blue-glass lake (with lane-lines and a black line at the bottom.)  There were 9 lanes. I chose the middle lane.  I would swim 50 meters to the far end and 50 meters back, giving me new distances and fractions to consider.  I swam the same rate as in the short course setting in the pool.  Again, as I swam a deliciously long swim with new numbers flowing along side of me, another man, a more narrow man, entered the pool.  Now then, many of us in this world like to be individuals; we value our ability to make choices and to be unique.  This man decided to swim a uniquely different way in this pool.  He wanted to swim 25 meters, not 50 meters as the pool was set.  So he did, weaving his way across the pool, below the lane lines and intersecting my path perpendicularly.  My interest became piqued.  As I swam, I watched the red clocks surrounding the pool and observed that he swam breast-stroke quite regularly, finishing 50 meters (down and back, under the lane-lines) in about 100 seconds.

Ah, I thought. Another math problem. If we both start at the same place (let's say a corner of the pool, just to make this conceptually more straight-forward) and swim in paths perpendicular to each other, when (if at all) will we collide?  If we both leave one end of the pool at the same time and swim at our own constant paces, when (if at all) will we collide?  If a moment during our infinite-length swim is chosen randomly, what is the probability that we will be in a collision at that moment?  Consider that it would be about 7 seconds for me to be in his way; he'd be in my way for 1/9th of the way across the 25 meter pool.

Well, now, TPC students, here's  your task. You can either choose to address the probability problems posed in this blog, or you can choose to create your own solvable probability problems that you see in your daily life.  Have fun, as always.  Be sure your work is original (don't just copy someone else's work) and includes some significant thought. I encourage you to write something meaningful or real to you.   Feel free to be poetic or funny.


  1. To answer the question on the most likely inconsiderate lumber man i would say the chances of the man entering the lane right next to you at that exact time are very low. Since there are 16 lanes and you chose a middle lane, there is a 1/8 chance the man would jump in a lane directly next to you. Usually people want to be further away from strangers so i find it strange that the man chose a lane right by you (this decision is probably a factor in the probability but i don't know how to calculate it). Finally, it takes you 45 seconds to swim 50 meters. During 7 of those seconds you are at the side of the pool where the lumpy man is getting ready to jump. So the probability of the man jumping in the pool while you are at the same side of the pool is 7/45. The answer of your question would be 1/8 x 7/45 = 7/360. This probability would be even less if you factored in that he could have gone to the pool at any time of the day. I think the man was trying to be rude based on this data...
    One time my brother and i played a fun game with chips. My brother got out 2 sea salt and vinegar kettle cooked chip and 8 normal kettle cooked chips (the chips look the same). I absolutely loathe vinegar and the game was i had to eat 3 out of the 10 chips. It was a really fun game and i did end up having to eat a vinegar chip along with 2 normal chips. The probability that i would get a vinegar chip would be (8C2 x 2C1)/(10C3)= 7/15 probability

  2. You're late to school. For some strange reason you only have time to grab 3 of your schoolbooks. One of these schoolbooks is math, one of these schoolbooks is history, and you don't look at which subject the third book is. If you have a total of 7 textbooks and seven classes but science class doesn't meet that day, what is the probability that the unknown book you grabbed is a Spanish book?

    Another probability example:

    Your mom asks you to go to the grocery store because she needs milk. You walk to the milk isle, and notice that there are 13 milk jugs in total which you can choose from. Without looking at the labels to see if the milk is spoiled or not, you pull off three jugs, pay for them, and leave. If there were 4 spoiled milk jugs on the shelf and 9 good milk jugs on the shelf, what is the probability that you grabbed at least one spoiled milk jug?

  3. This comment has been removed by the author.

  4. I share your frustration in the pool. During warmup for big meets there are so many kids in a lane that you can barley move. It is head to toe to head to toe. Most kids understand that there is little room or tolerance for varying speeds or strokes. Most of us normal people swim freestyle quietly for the half an hour or so of warmup. But, there is always an exception. There are those few kids on the team who feel the need to sprint during warmup and maul the people in front of them. Unfortunately, all this past weekend I was burdened by these people, during each of the 6 warmup sessions (the meet lasted 3 days, with prelims in the morning and finals at night). Each session I had one of these jerks behind me, scratching my feet and trying to go fast. There were 120 kids from Charger at the meet. 40 of them were in my lane. Out of the 120 there were maybe 10 kids who are “feet touchers”. What were the chances that the there would be one of these kids behind me every session? To find this i would need to know the probability that one of he/she would be in my lane and then the probability that he/she would be directly behind me out of all 40 kids. Then lastly i would need to multiply this by 5 because he/she was there all 5 sessions. This is not a simple problem, but i know the probability is low.

  5. A couple of probability examples:
    1) Four light bulbs in a fixture have burned out. From the box in the garage, you take four with which to replace them. However, the box has been there awhile, and six of the 19 in the box don't work. What is the probability that you take 4 defective ones? Two defective ones? No defective ones?
    2) I wrote this one, or one similar, in preparation for the last test. Of a group of 50 students, 20 play the piano, 16 play cello, and 14 play flute. 8 students play all 3. 12 play only piano, 10 play only cello, and 8 play only flute.
    a) Given that the student plays piano, what is the probability that they play either or both of the other two?
    b) Given that they play cello, what is the probability that they do not play either of the others?
    c) What is the probability that a student from the group does not play any of the three?

  6. Your neighborhood is having a Easter egg hunt for the kids on Easter sunday. The eggs can be filled with chocolate, jelly beans, or money. There are 600 eggs in total, 200 filled with chocolate, 300 filled with jelly beans, and 100 filled with money. You don't know what is inside. If you find a total of 24 Easter eggs, what is the probability you found 10 chocolate filled and 4 money filled?

    You're working at the U.S. post office warehouse. You have to deliver 25 boxes today. If 5 boxes have to go out to the west side, 9 boxes have to go out to the east side, and the other 11, have to go to the valley. You choose 15 of these boxes to deliver first. What is the probably you chose 4 boxes that have to go to the west side, and 1 that has to go to the valley?

  7. If you have 10 pieces of pottery waiting to be fired. There are 4 shelves in the kiln, on which there are 6 spots each. There are 24 pieces that aren't yours waiting to be fired. You are hoping your pieces will get fired, and the more of them that end up on the bottom shelf the happier you are (because it is the hottest place.).
    If the kiln is filled at random, what is the probability

    that all your pieces will get fired?

    that at least one will?

What comes next are records of molecules, not part of the text
=====
18
Properties=species:S:1:pos:R:3:mulliken_charge:R:1 method="wB97M-V/def2-TZVPD" lumo_ev=3.76 homo_energy_ha=-0.1690 total_charge=-1
C 1.41 1.67 0.65 -1.378
C 1.14 0.28 1.24 0.568
C 1.48 0.18 2.74 -1.428
N -0.22 -0.16 1.00 -0.393
C -0.53 -0.69 -0.34 0.559
O -1.76 -0.78 -0.56 -0.811
O 0.43 -0.99 -1.06 -0.728
H 1.65 1.51 -0.39 0.334
H 0.52 2.31 0.66 0.300
H 2.27 2.14 1.10 0.403
H 1.72 -0.47 0.71 0.280
H 1.24 1.10 3.28 0.308
H 2.53 -0.09 2.91 0.316
H 0.92 -0.65 3.15 0.424
H -0.95 0.50 1.23 0.255
H -1.43 -0.44 -2.66 0.386
H -2.76 0.13 -2.72 0.305
O -2.04 -0.07 -3.32 -0.700
=====

    that the bottom shelf will be filled entirely with your pieces?

    that at least one of your pieces will end up on the bottom shelf?
